After the Second World War, television, radio and other mass media were instrumental in shaping state identities. Media also play an important role in the preservation and promotion of minority cultures and languages. A homogenised media market, new media and mass communications, on the other hand, lead to the standardisation of media culture and information. That in turn promotes a process of concentration on a few world languages at the expense of smaller national and minority languages. The world’s most commonly used languages account for 81 percent of all Internet content, from 30 percent in English to 2 percent in Russian. Moreover, the media have a strong influence on the relationship between minority communities and majority societies through their reporting. The media therefore have an important role to play in creating a positive and tolerant environment for minorities so that mutual trust can be promoted and interethnic barriers overcome (→ Xenophobia). Reducing prejudice and hence ethnic tensions is one of the main tasks not only in the political world but also for the media.
# Unrelated to this text: calculated crystals
- - -
(1)
# Li3TiMn2O6
Calculated XRD peak list, Cu Kα (λ = 1.5418 Å). Input: DFT lattice parameters and positions (GGA+U).

Structural model:
a = 2.9389 Å, b = 5.9475 Å, c = 7.1146 Å
α = 78.63°, β = 78.29°, γ = 89.68°
Space group P1 (No. 1)
One atom of each set of equivalent atoms:
Li1 0.0000 0.0000 0.0000
Li2 0.3133 0.6413 0.3696
Li3 0.6522 0.3104 0.6902
Ti1 0.6464 0.8157 0.6972
Mn1 0.3210 0.1465 0.3415
Mn2 0.9917 0.4671 0.0222
O1 0.1557 0.0452 0.6793
O2 0.1654 0.5979 0.6671
O3 0.4929 0.2242 0.0175
O4 0.5158 0.7446 0.9677
O5 0.8034 0.9141 0.3704
O6 0.8212 0.3732 0.3501

Main lines, sorted by position (2θ from 10° to 90°):
| (hkl) | Position (°2θ) | I/Imax |
| --- | --- | --- |
| 0 1 1 | 17.9 | 1000 |
| 0 1 -2 | 33.0 | 164 |
| 1 1 0 | 35.3 | 135 |
| 1 -1 1 | 35.5 | 130 |
| 0 0 3 | 39.6 | 334 |
| 1 2 1 | 43.2 | 267 |
| 1 -2 0 | 43.4 | 261 |
| 1 2 4 | 60.4 | 153 |

---

(2)
# Li9Mn2Co5O16
Calculated XRD peak list, Cu Kα (λ = 1.5418 Å). Input: DFT lattice parameters and positions (GGA+U).

Structural model:
a = 2.9884 Å, b = 9.9036 Å, c = 10.0090 Å
α = 78.17°, β = 87.80°, γ = 87.72°
Space group P1 (No. 1)
One atom of each set of equivalent atoms:
Li1 0.0000 0.0000 0.0000
Li2 0.0011 0.0028 0.4939
Li3 0.0090 0.2608 0.6214
Li4 0.4841 0.0063 0.7389
Li5 0.4936 0.0020 0.2474
Li6 0.4945 0.4887 0.5026
Li7 0.5049 0.5029 0.0004
Li8 0.9798 0.4956 0.7390
Li9 0.9974 0.4987 0.2478
Mn1 0.0033 0.7513 0.8702
Mn2 0.4833 0.2508 0.8661
Co1 0.4780 0.7512 0.6194
Co2 0.5028 0.7492 0.1247
Co3 0.5039 0.2496 0.3810
Co4 0.9805 0.2463 0.1237
Co5 0.9859 0.7502 0.3732
O1 0.0045 0.1419 0.8178
O2 0.0172 0.6326 0.0543
O3 0.0205 0.8688 0.6856
O4 0.0368 0.3648 0.4260
O5 0.4539 0.1373 0.0572
O6 0.4626 0.6369 0.8002
O7 0.4722 0.8629 0.4392
O8 0.4960 0.1349 0.5382
O9 0.4959 0.3688 0.6989
O10 0.5038 0.6347 0.3031
O11 0.5226 0.3571 0.1926
O12 0.5413 0.8676 0.9427
O13 0.9466 0.6367 0.5545
O14 0.9663 0.1391 0.3041
O15 0.9674 0.3542 0.9368
O16 0.9867 0.8654 0.1917

Main lines, sorted by position (2θ from 10° to 90°):
| (hkl) | Position (°2θ) | I/Imax |
| --- | --- | --- |
| 0 2 0 | 18.3 | 1000 |
| 1 1 2 | 34.7 | 191 |
| -1 1 2 | 36.2 | 131 |
| 0 0 4 | 36.7 | 112 |
| 1 3 2 | 41.7 | 323 |
| -1 3 2 | 43.9 | 267 |
| 0 2 -4 | 44.8 | 248 |
| -1 1 6 | 65.1 | 87 |

---

(3)
# Li2VOF4
Calculated XRD peak list, Cu Kα (λ = 1.5418 Å). Input: DFT lattice parameters and positions (GGA+U).

Structural model:
a = 5.0481 Å, b = 7.2200 Å, c = 10.3461 Å
α = 71.03°, β = 89.78°, γ = 88.86°
Space group P1 (No. 1)
One atom of each set of equivalent atoms:
Li1 0.0000 0.0000 0.0000
Li2 0.0027 0.2234 0.6531
Li3 0.0196 0.7545 0.6540
Li4 0.0388 0.4876 0.9514
Li5 0.5263 0.4898 0.4590
Li6 0.5430 0.2561 0.1746
Li7 0.5593 0.7392 0.1557
Li8 0.5679 0.0109 0.5001
V1 0.0228 0.4058 0.3077
V2 0.0670 0.9059 0.3124
V3 0.5002 0.8553 0.8238
V4 0.5180 0.3442 0.8135
O1 0.1954 0.1220 0.3135
O2 0.2464 0.7381 0.9124
O3 0.3863 0.1263 0.8134
O4 0.8827 0.6243 0.3031
F1 0.1958 0.3357 0.4864
F2 0.2208 0.5080 0.7326
F3 0.2412 0.8965 0.1467
- - -
# Back to the text
The status of minorities and their media in Europe
Photo: Adobe Stock/Julien Eichinger
Press and media funding on the one hand and the protection of minorities on the other are interrelated matters. International instruments like the Framework Convention for the Protection of National Minorities adopted by the Council of Europe in 1992 and the European Charter for Regional or Minority Languages make it easier for minorities to form networks and obtain a minimum standard of guarantees (→ NGOs). The Language Charter, for example, is also explicitly targeted at minority media. It calls upon the states to ensure a minimum standard of access to the media for minorities and to provide them with the necessary help.
Print media are especially important for the survival of a minority because they also serve as a tool of language acquisition (→ Speaking of Languages). In view of their usually limited circulation and low advertising revenues, minority newspapers are dependent on financial support. The countries of Europe do not have a standard system of support for the press, but a rough distinction can be made between direct and indirect forms of support. In addition to direct government subsidies, indirect measures are common, including preferential taxes and a zero printed paper rate for dispatch by post (→ Formal Equality). In view of the special situation of minorities, the educational role of the print media and the growing problem of media concentrations, such support must be considered legitimate for certain selected media even though adverse effects on free competition are possible in some cases.
According to a 2006 study commissioned by the Council of Europe, in spite of the efforts made at the national and European levels, less than ten European minorities enjoy a full media offering. A choice of daily newspapers and periodicals as well as 24-hour radio and television programmes in the minority language produced by the minority communities themselves are only available to the Basques and Catalans in Spain, the German-speaking minority in Italy, the Russians in Estonia and Latvia, the Swedes in Finland, and the Hungarians in Romania. Within the EU, at least twenty minority communities have print and electronic media that report regularly in the minority language concerned. Others, like the Welsh speakers in Great Britain, the Irish speakers in Ireland and the Frisians in the Netherlands, have no daily newspapers but are fully catered for with electronic media. In 10 percent of the 56 countries of the OSCE there are no legal requirements to provide minority media; in the remaining ninety percent there are at least a few general provisions for radio and television in minority languages, while just under 20 percent have provisions for television channels for minorities. Those minorities that have been separated from their mother countries as a result of changes to national borders are normally able to consume media in their mother tongue from across the border but are usually excluded from active involvement in their editorial content (→ Transnational Cooperation). The opportunities for minority languages presented by the Internet are exemplified by online news agencies working in Catalan (Vilaweb), Irish (Beo) and Cornish (Nowodhow Kernow). The same applies to the e-paper formats of minority dailies and periodicals, which facilitate media access outside of the minority area, too.
Perspectives for a European Public Space
Photo: Adobe Stock/M-SUR
In today’s information society, the media offering has been extended from the standard repertoire of television, radio and press to include new digital platforms. That means far greater choice in the European public sphere. This new variety in the media offering, however, has been accompanied by a process of market concentration deriving from alliances and mergers at the national and European levels. The fundamental task of public service broadcasting, namely to provide all citizens with a varied quality offering of correct, objective and neutral information, is now almost beyond the public broadcasting corporations. All the greater then is the contribution of regional and local media to the protection of linguistic diversity.
As experience at the national level shows, the development of a European identity presupposes a European public service medium offering print, electronic and new digital media products. Theoretically, shared interests within Europe and the need for an exchange of information should be conducive to the establishment of such a public service. But it did not take the spectacular failure of Robert Maxwell’s newspaper project in the 1990s (“The European”, which was hailed as the first European newspaper but disappeared after less than ten years on the market) to confirm the difficulties of establishing a European public sphere. A European media sphere can only exist in the languages of the citizens and hence also in the minority languages. The situation is indicative of the neglect of the role of small cultural groups: Existing regional and local media networks represent the capillaries that can be used to reach many citizens of Europe.
The tender plant of a European public sphere is also being nurtured by minority organisations and their media (→ NGOs). European integration is leading to greater networking among minorities and to common cross-border projects (→ Transnational Cooperation). The European Bureau for Lesser Used Languages (EBLUL), for example, has been using its minority press agency Eurolang to report on EU topics of relevance to minorities since 2000; the European MIDAS association provides networking for daily newspapers written in regional and minority languages; Cafe Babel provides young Europeans with well written multilingual articles from the Member States including Catalan, and Mercator Media collects, disseminates and analyses reports on minorities throughout Europe.
Minorities in the public perception
Photo: Adobe Stock/New Africa
Objective reporting is an axiomatic principle of serious journalism. In ethnically divided societies, however, after a bloody war as on the Balkans, for example, the media are often partisan and make no positive contribution to peaceful coexistence. And even beyond such traumatic social contexts, apparently independent and objective media are often selective in their reporting. In such cases, ethnic minorities like the Roma or migrants tend to be presented in the context of crime, poverty, unemployment or as a threat to the majority. The stereotypes employed reinforce prejudice and the negative clichés associated with other cultures (→ Veil), while positive reporting is either almost non-existent or is reduced to a few “good foreigners” or to folklore trimmings. In view of the poor performance often to be seen in the media, there is a convincing case for training and awareness-building for the players in the media industry – for example with the help of diversity toolkits of the type offered by the EU’s Fundamental Rights Agency. According to an EU poll, the diversity of European societies is poorly represented in the media (Eurobarometer 317, November 2009). Less than half of all Europeans (48%), for example, feel that the social realities are adequately reflected in the media in the case of persons with special needs, and with regard to religion, ethnic origins and sexual orientation, only just over half of all Europeans (52%, 55% and 56% respectively) believe that today’s diversity is sufficiently covered in the media (although with regard to gender, two thirds do consider that the diversity of male-female relationships is adequately reflected). Of course there is considerable variation at the national level. The countries where there is least satisfaction with the degree of ethnic diversity presented in the media are Spain, Italy and Greece, where over 45 percent say that the media fail to do justice to ethnic diversity. At the other end of the scale, we find countries like Great Britain, Cyprus and Romania, where this view is held by only a quarter of the population.
Admittedly, polls of this type are not designed to analyse media content as much as the attitudes of media consumers. But one thing is clear, and that is the need for more media attention to be paid to the large number of positive topics relating to minorities that do exist. The goal here must be to have minority representatives participating in the editorial processes at the majority media and so helping to set the record straight. Of course, the ethnic composition of the editorial offices alone will not be sufficient; social diversity must also be visibly reflected on the screen in the case of media like television. Otherwise the television programmes now available in Europe via satellite (almost 200 channels), which supply migrants with around-the-clock information from their home countries like Turkey and various Arab-Asian states, will further encourage the development of parallel societies.
Two take aways:
- Media have a function to fulfil with regard to information and identification. This is especially true with regard to and vis-à-vis minority population groups. For minorities, objective and balanced reporting in the majority media is therefore particularly important.
- In terms of identity, and language acquisition and preservation, media reports written in the minority languages in the minorities’ own media are of central importance. The Council of Europe’s conventions provide some guidance in this regard. However, only a very small number of European minorities benefit from a full media offering in their respective languages. Given the EU’s lack of powers in the field and the continued absence of a European public sphere, the EU’s contribution in the field is rather limited. However, a number of promising initiatives have been launched by NGOs some of which receive EU funding.